Source:
# 1
A 3-piece molecular cluster, C34H31NO7PS overall, computed with ωB97M-V with the def2-TZVPD basis set.

## Properties
Net charge: +1
Calculated total energy (eV): -71701.87208
Frontier orbital gap (eV): 7.6
F_max (eV/Å): 0.92
Lowest unoccupied orbital energy (eV): -3.22
Multiplicity: 1

Geometry as XYZ:
```
75
Properties=species:S:1:pos:R:3:forces:R:3:mulliken_charge:R:1
C -5.566372 7.363382 4.336225 -0.05 0.17 -0.11 -1.0759
S -4.978459 5.718953 4.079861 -0.06 -0.40 0.22 1.3104
O -4.156116 5.289097 5.176884 0.18 0.05 0.03 -0.6814
O -6.035184 4.853161 3.641723 -0.23 0.12 -0.24 -0.6115
C -3.823534 5.836628 2.687871 0.23 0.71 -0.25 -0.3573
C -4.443146 6.446043 1.410195 -0.05 -0.26 -0.19 -1.2257
C -4.421519 5.593382 0.111610 -0.59 -0.15 0.22 0.1865
P -6.138488 5.140792 -0.346196 -0.14 -0.21 -0.50 0.3385
O -6.222086 4.268542 -1.528876 0.09 -0.10 -0.07 -0.6432
C -3.614925 4.297988 0.206280 0.33 0.43 0.53 -1.0749
C -3.899633 3.613426 1.532791 -0.05 -0.25 -0.89 -0.5968
N -3.251805 4.459083 2.574521 -0.13 -0.44 0.51 -0.1517
H -5.219605 8.027492 3.546620 0.06 -0.04 -0.05 0.3529
H -5.191339 7.714570 5.292166 -0.04 -0.06 0.10 0.4271
H -6.651727 7.314642 4.302769 -0.04 0.01 0.13 0.3831
H -3.014650 6.473940 3.042492 0.03 -0.04 0.07 0.6553
H -3.961186 7.404425 1.233802 0.10 -0.02 -0.01 0.2395
H -5.488841 6.684487 1.629206 -0.02 0.03 0.12 0.4871
H -4.088457 6.195056 -0.732780 0.19 0.02 0.03 0.6876
H -6.793663 6.381828 -0.457452 0.05 0.09 0.21 0.1161
H -6.690504 4.580395 0.823759 0.02 0.23 0.18 0.0512
H -3.814453 3.636761 -0.631298 -0.02 0.00 -0.09 0.5021
H -2.549046 4.548763 0.227881 0.10 -0.21 -0.44 0.3208
H -4.961044 3.532089 1.750075 0.00 0.05 0.24 0.3066
H -3.462045 2.619609 1.557412 0.14 0.02 0.20 0.2332
H -2.248967 4.501038 2.382055 0.04 0.06 -0.13 0.3678
H -3.331687 4.007230 3.497419 0.03 0.11 0.08 0.4424
C -1.219699 -2.050010 0.153765 -0.01 0.01 0.01 -0.6469
C -1.773622 -0.976489 0.842150 -0.01 0.01 0.00 -0.5160
C -1.238805 0.291382 0.694935 -0.06 -0.08 0.02 -0.4595
C -0.142974 0.497383 -0.133656 0.06 0.04 -0.03 0.2311
C 0.420387 -0.585817 -0.810411 0.00 0.07 0.03 0.7209
C -0.124566 -1.855732 -0.670136 -0.04 -0.07 0.04 -0.6087
C 1.621433 -0.410170 -1.675396 -0.01 -0.09 -0.06 0.2493
O 2.099282 -1.353640 -2.265012 0.01 0.09 -0.06 -0.5897
C 2.216189 0.950493 -1.775259 -0.05 0.02 0.04 0.2434
C 3.366347 1.128605 -2.531456 0.07 0.03 -0.05 -0.5732
C 3.927594 2.389159 -2.647218 -0.01 0.03 0.01 -0.6102
C 3.338136 3.477560 -2.014419 0.01 -0.01 -0.01 -0.5267
C 2.192348 3.305019 -1.257071 0.06 0.05 -0.02 -0.5595
C 1.629235 2.041299 -1.127557 -0.03 -0.07 0.02 0.2815
C 0.412762 1.870440 -0.290772 0.00 0.03 -0.03 0.5123
O -0.113730 2.828487 0.250219 -0.21 0.08 0.14 -0.7658
H -1.640538 -3.039963 0.265193 0.00 -0.01 0.00 0.4186
H -2.621882 -1.134541 1.495105 -0.01 -0.01 0.00 0.4106
H -1.660213 1.132086 1.228564 0.05 0.04 -0.01 0.4123
H 0.319167 -2.684044 -1.205526 0.05 0.03 -0.02 0.5775
H 3.813602 0.276451 -3.024148 -0.05 -0.05 0.01 0.5369
H 4.826013 2.525833 -3.233606 0.00 0.01 -0.01 0.4191
H 3.776492 4.461590 -2.111669 0.01 0.00 0.00 0.4134
H 1.730292 4.145485 -0.759105 -0.04 -0.03 0.03 0.4499
C 3.876447 -9.953522 -3.232538 0.01 -0.01 0.02 -0.4951
C 4.535750 -10.429002 -2.104045 -0.01 0.01 -0.02 -0.4786
C 4.816483 -9.575594 -1.051252 0.00 -0.09 -0.02 -0.5702
C 4.446056 -8.238883 -1.125522 -0.03 0.08 -0.03 0.1767
C 3.797751 -7.757854 -2.265361 0.04 0.04 0.07 0.1239
C 3.508384 -8.621841 -3.313911 0.00 -0.08 -0.05 -0.5313
C 3.419213 -6.321387 -2.386466 -0.05 0.01 -0.07 0.5669
O 2.843979 -5.904382 -3.369154 -0.01 0.00 0.01 -0.6569
C 3.771820 -5.409786 -1.259161 0.03 -0.07 0.02 0.1652
C 3.473848 -4.056944 -1.370367 -0.01 0.07 0.05 -0.6446
C 3.781067 -3.199187 -0.328233 0.04 -0.08 0.09 -0.1808
C 4.381743 -3.687791 0.827854 -0.02 0.01 -0.02 -0.7246
C 4.684701 -5.033516 0.940312 0.01 0.09 0.06 -0.5896
C 4.386299 -5.898380 -0.104542 -0.03 -0.03 -0.08 0.1128
C 4.743279 -7.341103 0.026392 0.03 -0.05 0.06 0.6652

Request:
Echo the part of the notes further above that starts with the line with "4.302769 -0.04" and stops after the one with "0.5369".

Done:
H -6.651727 7.314642 4.302769 -0.04 0.01 0.13 0.3831
H -3.014650 6.473940 3.042492 0.03 -0.04 0.07 0.6553
H -3.961186 7.404425 1.233802 0.10 -0.02 -0.01 0.2395
H -5.488841 6.684487 1.629206 -0.02 0.03 0.12 0.4871
H -4.088457 6.195056 -0.732780 0.19 0.02 0.03 0.6876
H -6.793663 6.381828 -0.457452 0.05 0.09 0.21 0.1161
H -6.690504 4.580395 0.823759 0.02 0.23 0.18 0.0512
H -3.814453 3.636761 -0.631298 -0.02 0.00 -0.09 0.5021
H -2.549046 4.548763 0.227881 0.10 -0.21 -0.44 0.3208
H -4.961044 3.532089 1.750075 0.00 0.05 0.24 0.3066
H -3.462045 2.619609 1.557412 0.14 0.02 0.20 0.2332
H -2.248967 4.501038 2.382055 0.04 0.06 -0.13 0.3678
H -3.331687 4.007230 3.497419 0.03 0.11 0.08 0.4424
C -1.219699 -2.050010 0.153765 -0.01 0.01 0.01 -0.6469
C -1.773622 -0.976489 0.842150 -0.01 0.01 0.00 -0.5160
C -1.238805 0.291382 0.694935 -0.06 -0.08 0.02 -0.4595
C -0.142974 0.497383 -0.133656 0.06 0.04 -0.03 0.2311
C 0.420387 -0.585817 -0.810411 0.00 0.07 0.03 0.7209
C -0.124566 -1.855732 -0.670136 -0.04 -0.07 0.04 -0.6087
C 1.621433 -0.410170 -1.675396 -0.01 -0.09 -0.06 0.2493
O 2.099282 -1.353640 -2.265012 0.01 0.09 -0.06 -0.5897
C 2.216189 0.950493 -1.775259 -0.05 0.02 0.04 0.2434
C 3.366347 1.128605 -2.531456 0.07 0.03 -0.05 -0.5732
C 3.927594 2.389159 -2.647218 -0.01 0.03 0.01 -0.6102
C 3.338136 3.477560 -2.014419 0.01 -0.01 -0.01 -0.5267
C 2.192348 3.305019 -1.257071 0.06 0.05 -0.02 -0.5595
C 1.629235 2.041299 -1.127557 -0.03 -0.07 0.02 0.2815
C 0.412762 1.870440 -0.290772 0.00 0.03 -0.03 0.5123
O -0.113730 2.828487 0.250219 -0.21 0.08 0.14 -0.7658
H -1.640538 -3.039963 0.265193 0.00 -0.01 0.00 0.4186
H -2.621882 -1.134541 1.495105 -0.01 -0.01 0.00 0.4106
H -1.660213 1.132086 1.228564 0.05 0.04 -0.01 0.4123
H 0.319167 -2.684044 -1.205526 0.05 0.03 -0.02 0.5775
H 3.813602 0.276451 -3.024148 -0.05 -0.05 0.01 0.5369